Oh wait, it's not Abyss. Still cool, though.
Shadow Tower as a whole is still way cooler than King's Field anyway.
Things I won't watch/read/play because of this thread's pushing.
Love Live
Monster Hunter 4
Prison School
Anime Fighters that are not Guilty Gear
Hate me more.
I'm taking back a much earlier statement. The Last of Us LP isn't as bad as I thought it was at first. The last parts and especially the final episode is good, mostly due to Pat. It's not my favorite LP for sure, those titles belong to Barkley, Rising and Deadly Pee, but it's not bad.
Pat top tier friend confirmed.
does anybody who ever plans on watching the last naruto movie want me to write a summary of what happens? or does no one care?
does anybody who ever plans on watching the last naruto movie want me to write a summary of what happens? or does no one care?
does anybody who ever plans on watching the last naruto movie want me to write a summary of what happens? or does no one care?
Oh wait, it's not Abyss. Still cool, though.
Shadow Tower as a whole is still way cooler than King's Field anyway.
Not the best from game though.
Alright. I'll free up my schedule for it.Oh yeah, speaking of Shadow Tower, change of plans on the stream for Abyss. Gonna be tomorrow evening instead of tonight just because I'm still recovering from my cold, plus I've got some bit of work that needs to be done at the moment.
Damn. What a rebel you are.
I'm taking back a much earlier statement. The Last of Us LP isn't as bad as I thought it was at first. The last parts and especially the final episode is good, mostly due to Pat. It's not my favorite LP for sure, those titles belong to Barkley, Rising and Deadly Pee, but it's not bad.
Pat top tier friend confirmed.
Only Neo-Amerika can handle it.
He will kill the Vice President.
So American.
Everyone says its the best aside from almost no one even playing it. I mean, it's amazing, but come on.Not the best from game though.
That's because Armstrong is amazing.
Another thing that I fucking hate is when people are their nicest to you only when they want something. For example, me and my mother's usual interaction is barely talking and letting the other do their thing. Except when she wants to shit talk my idiot father, or asks "Hey Tim, can I borrow some money?", or when she doesn't ask she says "Hey Tim, I borrowed some money, but i'll totally pay you back." which doesn't usually happen, but my favorite is "Hey Tim, could you pee in this cup for me, please?". If I do it, she gives a small thank you and goes back to her usual self. If I don't, she goes "Why not? Don't be an ingrate." and pouts like a fucking child for the rest of the day.
Another thing that I fucking hate is when people are their nicest to you only when they want something. For example, me and my mother's usual interaction is barely talking and letting the other do their thing. Except when she wants to shit talk my idiot father, or asks "Hey Tim, can I borrow some money?", or when she doesn't ask she says "Hey Tim, I borrowed some money, but i'll totally pay you back." which doesn't usually happen, but my favorite is "Hey Tim, could you pee in this cup for me, please?". If I do it, she gives a small thank you and goes back to her usual self. If I don't, she goes "Why not? Don't be an ingrate." and pouts like a fucking child for the rest of the day.
Another thing that I fucking hate is when people are their nicest to you only when they want something. For example, me and my mother's usual interaction is barely talking and letting the other do their thing. Except when she wants to shit talk my idiot father, or asks "Hey Tim, can I borrow some money?", or when she doesn't ask she says "Hey Tim, I borrowed some money, but i'll totally pay you back." which doesn't usually happen, but my favorite is "Hey Tim, could you pee in this cup for me, please?". If I do it, she gives a small thank you and goes back to her usual self. If I don't, she goes "Why not? Don't be an ingrate." and pouts like a fucking child for the rest of the day.
Another thing that I fucking hate is when people are their nicest to you only when they want something. For example, me and my mother's usual interaction is barely talking and letting the other do their thing. Except when she wants to shit talk my idiot father, or asks "Hey Tim, can I borrow some money?", or when she doesn't ask she says "Hey Tim, I borrowed some money, but i'll totally pay you back." which doesn't usually happen, but my favorite is "Hey Tim, could you pee in this cup for me, please?". If I do it, she gives a small thank you and goes back to her usual self. If I don't, she goes "Why not? Don't be an ingrate." and pouts like a fucking child for the rest of the day.
... why does she want your pee?
... why does she want your pee?
**Attached: crystal structures:**
- - -
## w
A geometry-optimized GaAgP2Se6 structure. Source: Materials Project, functional PBE.

a b c (Å): 6.458 6.458 14.952
angles (deg): 90.00 90.00 120.00
Positions (direct):
Ga: 0.000 0.000 0.250
Ga: 0.000 0.000 0.750
Ag: 0.333 0.667 0.250
Ag: 0.667 0.333 0.750
P: 0.333 0.667 0.674
P: 0.333 0.667 0.826
P: 0.667 0.333 0.174
P: 0.667 0.333 0.326
Se: 0.020 0.319 0.866
Se: 0.020 0.701 0.634
Se: 0.299 0.319 0.634
Se: 0.299 0.980 0.866
Se: 0.319 0.020 0.366
Se: 0.319 0.299 0.134
Se: 0.681 0.701 0.866
Se: 0.681 0.980 0.634
Se: 0.701 0.020 0.134
Se: 0.701 0.681 0.366
Se: 0.980 0.299 0.366
Se: 0.980 0.681 0.134

total moment = 0.00 μB/atom
SG = No. 163
calculated volume = 270.0 Å³/f.u.
density = 4.39 g cm⁻³


## x
A geometry-optimized GaAgP2Se6 structure. Source: Materials Project, functional PBE.

a b c (Å): 7.722 12.338 23.047
angles (deg): 90.00 90.00 90.00
Positions (direct):
Ga: 0.229 0.136 0.158
Ga: 0.229 0.364 0.658
Ga: 0.271 0.636 0.158
Ga: 0.271 0.864 0.658
Ga: 0.729 0.136 0.342
Ga: 0.729 0.364 0.842
Ga: 0.771 0.636 0.342
Ga: 0.771 0.864 0.842
Ag: 0.157 0.600 0.984
Ag: 0.157 0.900 0.484
Ag: 0.343 0.100 0.984
Ag: 0.343 0.400 0.484
Ag: 0.657 0.600 0.516
Ag: 0.657 0.900 0.016
Ag: 0.843 0.100 0.516
Ag: 0.843 0.400 0.016
P: 0.045 0.099 0.657
P: 0.045 0.401 0.157
P: 0.242 0.630 0.588
P: 0.242 0.870 0.088
P: 0.258 0.130 0.588
P: 0.258 0.370 0.088
P: 0.455 0.599 0.657
P: 0.455 0.901 0.157
P: 0.545 0.099 0.843
P: 0.545 0.401 0.343
P: 0.742 0.630 0.912
P: 0.742 0.870 0.412
P: 0.758 0.130 0.912
P: 0.758 0.370 0.412
P: 0.955 0.599 0.843
P: 0.955 0.901 0.343
Se: 0.025 0.737 0.309
Se: 0.025 0.763 0.809
Se: 0.044 0.733 0.632
Se: 0.044 0.767 0.132
Se: 0.129 0.036 0.069
Se: 0.129 0.464 0.569
Se: 0.151 0.196 0.507
Se: 0.151 0.304 0.007
Se: 0.174 0.511 0.880
Se: 0.174 0.989 0.380
Se: 0.186 0.006 0.726
Se: 0.186 0.494 0.226
Se: 0.314 0.506 0.726
Se: 0.314 0.994 0.226
Se: 0.326 0.011 0.880
Se: 0.326 0.489 0.380
Se: 0.349 0.696 0.507
Se: 0.349 0.804 0.007
Se: 0.371 0.536 0.069
Se: 0.371 0.964 0.569
Se: 0.456 0.233 0.632
Se: 0.456 0.267 0.132
Se: 0.475 0.237 0.309
Se: 0.475 0.263 0.809
Se: 0.525 0.737 0.191
Se: 0.525 0.763 0.691
Se: 0.544 0.733 0.868
Se: 0.544 0.767 0.368
Se: 0.629 0.036 0.431
Se: 0.629 0.464 0.931
Se: 0.651 0.196 0.993
Se: 0.651 0.304 0.493
Se: 0.674 0.511 0.620
Se: 0.674 0.989 0.120
Se: 0.686 0.006 0.774
Se: 0.686 0.494 0.274
Se: 0.814 0.506 0.774
Se: 0.814 0.994 0.274
Se: 0.826 0.011 0.620
Se: 0.826 0.489 0.120
Se: 0.849 0.696 0.993
Se: 0.849 0.804 0.493
Se: 0.871 0.536 0.431
Se: 0.871 0.964 0.931
Se: 0.956 0.233 0.868
Se: 0.956 0.267 0.368
Se: 0.975 0.237 0.191
Se: 0.975 0.263 0.691

total moment = 0.00 μB/atom
SG = No. 61
calculated volume = 274.5 Å³/f.u.
density = 4.32 g cm⁻³


Energy relative to the most stable one, in kJ/mol of atoms: w 1.6; x 0.0


## w
A geometry-optimized LiNb2Te4Cl10O structure. Source: Materials Project, functional PBE.

a b c (Å): 7.220 8.837 9.549
angles (deg): 82.94 88.96 77.18
Positions (direct):
Li: 0.000 0.000 0.000
- - -
**Back to the text:**
Judging from some of the things Chet Rippo has posted I think the K-on girls have been getting the same juice as Jotaro.Well, Jotaro (?) is on those super steroids.
... why does she want your pee?
Judging from some of the things Chet Rippo has posted I think the K-on girls have been getting the same juice as Jotaro.
She and my father had trouble with the law over the past few years, and occasionally she has to go to a meeting that checks her urine for drugs and alcohol. Her best friend is a weed dealer, and she buys from her rather often. So when a meeting comes up, she doesn't want to get caught, so she comes running to me.... why does she want your pee?
Judging from some of the things Chet Rippo has posted I think the K-on girls have been getting the same juice as Jotaro.
Drug tests I'd assume.
Drug testing, probably.
Drug test?
Probably to pass a drug family members ask me all the time..$25 a cup.
She and my father had trouble with the law over the past few years, and occasionally she has to go to a meeting that checks her urine for drugs and alcohol. Her best friend is a weed dealer, and she buys from her rather often. So when a meeting comes up, she doesn't want to get caught, so she comes running to me.
She and my father had trouble with the law over the past few years, and occasionally she has to go to a meeting that checks her urine for drugs and alcohol. Her best friend is a weed dealer, and she buys from her rather often. So when a meeting comes up, she doesn't want to get caught, so she comes running to me.
Oh, that never really occurred to me.
She and my father had trouble with the law over the past few years, and occasionally she has to go to a meeting that checks her urine for drugs and alcohol. Her best friend is a weed dealer, and she buys from her rather often. So when a meeting comes up, she doesn't want to get caught, so she comes running to me.
Good luck man, it's just a little while longer now.She and my father had trouble with the law over the past few years, and occasionally she has to go to a meeting that checks her urine for drugs and alcohol. Her best friend is a weed dealer, and she buys from her rather often. So when a meeting comes up, she doesn't want to get caught, so she comes running to me.
Do you have any other relatives you could stay with?She and my father had trouble with the law over the past few years, and occasionally she has to go to a meeting that checks her urine for drugs and alcohol. Her best friend is a weed dealer, and she buys from her rather often. So when a meeting comes up, she doesn't want to get caught, so she comes running to me.
That's my plan. I'm never looking back once I get out of here. It's getting closer and closer to that time. I can't state enough how much i'm looking forward to it.That's rough. That is a toxic situation, and the faster you get out of there, the best.
Like I said, never look back when you get out.
That's my plan. I'm never looking back once I get out of here. It's getting closer and closer to that time. I can't state enough how much i'm looking forward to it.
Jesus christ, that JoJo episode.
Things I won't watch/read/play because of this thread's pushing.
Love Live
Monster Hunter 4
Prison School
Anime Fighters that are not Guilty Gear
Hate me more.
I'm taking back a much earlier statement. The Last of Us LP isn't as bad as I thought it was at first. The last parts and especially the final episode is good, mostly due to Pat. It's not my favorite LP for sure, those titles belong to Barkley, Rising and Deadly Pee, but it's not bad.
Pat top tier friend confirmed.
I liked the Rising LP a lot, but it's hard to enjoy it now since I know all of their reactions were fake. They've said that after the first recording they both went home and beat the game, so it's a little lame they put on fake reactions and airs for the LP.
Well best of luck to you, and keep doing what you need to do to make your life better.Another thing that I fucking hate is when people are their nicest to you only when they want something. For example, me and my mother's usual interaction is barely talking and letting the other do their thing. Except when she wants to shit talk my idiot father, or asks "Hey Tim, can I borrow some money?", or when she doesn't ask she says "Hey Tim, I borrowed some money, but i'll totally pay you back." which doesn't usually happen, but my favorite is "Hey Tim, could you pee in this cup for me, please?". If I do it, she gives a small thank you and goes back to her usual self. If I don't, she goes "Why not? Don't be an ingrate." and pouts like a fucking child for the rest of the day.
Yeah, it sure was something. The bath scene was a bit much.Jesus christ, that JoJo episode.